“Is it racist to have a preference when it comes to the race of the people you date?” a friend asked me last week. He looked at me with a wry smile on his face. Both of us are products of mixed relationships and move in ethnically diverse circles, but I knew where the conversation was going.
“It depends,” I said. “On what that preference is, and why.”
He’s mixed white and Caribbean, and said to me that he was interested in “light-skinned” girls, Latinas and white girls. Just not black girls. When I asked him what made him feel that way he shrugged and said “I just do.”
His response sounded pretty problematic to me. He didn’t have any real reasons for his preferences and I had more than a strong suspicion that they were informed by stereotypes about all of the groups he mentioned rather than by any real personal experience with them.
I should stress that this conversation isn’t new. Being a young person of colour in one of the most diverse cities in the world where dating culture feels increasingly more Americanised, I hear heated debates about racial preferences all the time. Regardless of if you’re actually on dating apps or not, social media presents you with a world of choice where you can cherry pick your networks and get more of what you want. Now more than ever we feel like we know what we like, and can get it at the click of a button. But what if this is this a bad thing – and is ultimately revealing racist tendencies?
Emma Dabiri’s Is Love Racist, which aired on Channel 4 this week, suggests that it is. Using statistics collated from a survey about dating habits, as well as conducting social experiments on a group of young singletons, the show confirmed that the odds were stacked in favor of white people in the dating game. More than a third of white people said they would never date a black person, compared to just 10 per cent of black people who wouldn’t date a white person.
# Quantum chemistry results that have nothing to do with the article
┌──
# 1
A cluster of 2 separate species, C12H13F3N2O2S in total. Source: OMol25; level of theory: ωB97M-V with the def2-TZVPD basis set.

max |F|: 7.978 eV Å⁻¹
HOMO energy: -5.98 eV
E: -1422.64441 Eh
LUMO: -2.254 eV

Atoms and positions in Å:
C -1.67859 -0.91086 1.40656
N -0.43062 -0.15788 1.33170
C 0.81967 -0.90875 1.37220
C -0.43444 1.21245 1.34181
H -1.48600 -1.98204 1.42297
H -2.21872 -0.64125 2.31212
H -2.30242 -0.68448 0.54384
H 0.62800 -1.98014 1.38002
H 1.42507 -0.67196 0.49916
H 1.37694 -0.65075 2.27071
H 0.48268 1.76011 1.35089
H -1.35746 1.74848 1.38260
F -0.47846 -0.27816 6.57896
C 0.39179 0.38702 5.81370
F 1.53055 0.65758 6.45884
F 0.62957 -0.24392 4.66111
S -0.37148 2.00731 5.37852
C 1.04453 2.67989 4.48996
C 0.98710 3.93646 3.96418
C 2.06846 4.47437 3.20314
C 1.96320 5.70402 2.62713
C 0.80970 6.48715 2.78230
C 0.73726 7.73817 2.18953
N 0.68513 8.78857 1.68250
C -0.25448 5.98180 3.54495
C -0.17458 4.75295 4.12371
O -1.45534 2.01936 4.33141
O -0.58498 2.99475 6.49541
H 1.91260 2.06408 4.37573
H 2.96612 3.89168 3.08004
H 2.76556 6.09348 2.02178
H -1.14300 6.58211 3.65705
H -0.99791 4.37185 4.70973

Atoms 1-6, force components in eV/Å:
-0.58 0.05 0.02
-0.02 4.26 0.13
0.54 0.06 -0.07
0.16 -4.59 0.47
0.15 0.19 -0.03
0.02 0.06 0.06

# 2
A cluster of 2 separate species, C12H13N2OS2 in total. Source: OMol25; level of theory: ωB97M-V with the def2-TZVPD basis set.

max |F|: 2.727 eV Å⁻¹
HOMO energy: -2.71 eV
E: -1446.24363 Eh
net charge: -1
LUMO: 2.872 eV

Atoms and positions in Å:
C -3.32526 3.96916 -0.80834
C -3.69759 2.67268 -1.55900
C -2.37480 1.91885 -1.80573
N -1.42403 2.55622 -0.88012
C -0.08091 2.27545 -0.85357
S 0.66805 1.35515 -2.04375
S 0.91261 2.89496 0.35056
C -1.83454 3.87886 -0.42078
H -3.44546 4.84387 -1.45910
H -3.93874 4.12245 0.08275
H -4.31535 2.00701 -0.95037
H -4.24821 2.83923 -2.49169
H -2.49060 0.83399 -1.62764
H -2.07589 1.99604 -2.86458
H -1.26160 4.68612 -0.92341
H -1.64902 3.95416 0.66766
C 2.90167 -5.26079 1.38070
C 3.84861 -4.40565 1.97276
C 3.70965 -3.01834 1.85726
C 2.61115 -2.49884 1.14102
N 2.38384 -1.08754 1.16428
C 1.26901 -0.57094 1.23030
O 0.20970 -0.05516 1.31968
C 1.71062 -3.34936 0.48700
C 1.83602 -4.73492 0.62502
H 3.01496 -6.34568 1.47602
H 4.67571 -4.82544 2.54975
H 4.41343 -2.32738 2.32560
H 0.89394 -2.91931 -0.10992
H 1.10301 -5.40484 0.16765

Atoms 1-6, force components in eV/Å:
0.05 0.31 -0.13
0.19 -0.52 0.31
0.13 0.40 -0.39
0.12 -0.20 -0.34
0.53 -0.22 -0.18
-0.49 -0.91 -0.87

# 3
The molecule C12H13NO. Source: OMol25; level of theory: ωB97M-V with the def2-TZVPD basis set.

max |F|: 6.635 eV Å⁻¹
⟨S²⟩: 2.02
spin multiplicity: 3
HOMO energy (spin up / spin down): -5.45 / -9.06 eV
energy relative to the best compared isomer or geometry (same formula, charge and spin): 0.000 eV
E: -594.88052 Eh
LUMO (spin up / spin down): 0.719 / -1.594 eV

Atoms and positions in Å:
C 3.39497 0.74284 0.70928
C 2.39290 0.80868 1.71293
C 3.19310 0.28660 -0.53503
C 1.15321 0.41415 1.45565
C 1.54929 -0.68148 -2.05495
└──
The questions raised by the preference across the board for whiteness are clearly far too complicated to be fully unpacked in under an hour. Debate on social media came from all directions. On Twitter, for example, I watched several people dismissing the results by making the case that living in the UK, where the vast majority of the population are white, it’s not unusual that white dominates on dating apps. After all, to cut out potential white partners would be to cut out almost 80 per cent of the people out there.
Read more: Is India in denial about its attitude to skin colour?
However, it would be naive to think that it’s really as simple as that. Clearly, we do recognise that there are issues with racism and equality away from dating apps, and that they do cross over from one to the other. Ruby McGregor Smith, at one time the only female Asian chief executive of a FTSE250 company, underlined this in the programme when she said “If you’ve got preferences, I don’t think they would be different in your personal life than your work life.”
The aversion to dating some minority groups that seems to be the issue here though. Why is it that the name “Mohammed” got the most negative response from a list of potential date names? Again, time didn’t allow for this to be properly explored.
When participants did express attraction for other ethnicities, they tended to be informed by crude stereotypes. One guy said he liked “Asian girls because they’re more submissive”. Another said that he had slept with mixed race girls, but wasn’t “into mixed race girls”.
Whilst fully recognising all of these issues raised about interracial dating in the programme, I didn’t settle on the same conclusion that Dabiri seemed to, namely that having preferences is necessarily a problem. Preferences aren’t supposed to be completely exclusive. They merely show partiality. Alarm bells should only ring when preferences become inflexible or are informed by general ideas as opposed to genuine experience.
It’s not only unfair, but also unrealistic to say that we shouldn’t have preferences about who we date. Generally speaking people are inclined to date people who they feel culturally and morally compatible with. While that doesn’t strictly mean that they should come from a particular race, life experiences leave us with entirely personal impressions that affect how you feel about potential partners in the future.
The real problem is that dating apps are inherently flawed. They skew attraction on a superficial level, of which race is undoubtedly the most sensitive category. We’d be better off quitting these apps and going back into the real world, where we can decide first hand what we like.